Wanted:
Retype only the lines underneath with the word "measured" in them.
Source:
- - -
# 1
Computed, not measured: a relaxed structure of La6Mg23C at the r2SCAN level of DFT.

Summary:
The symmetry is Fm-3m, No. 225. For the calculated density, the calculation gives 3.06 Mg/m³. The size of the total moment is 0.05 μB per atom. Its total energy is -0.353 hartree per atom.

abc: 10.257 10.257 10.257
angles: 60.00 60.00 60.00
Atoms (fractional coordinates):
La (0.816, 0.816, 0.184)
La (0.184, 0.816, 0.184)
La (0.816, 0.184, 0.184)
La (0.184, 0.184, 0.816)
La (0.816, 0.184, 0.816)
La (0.184, 0.816, 0.816)
Mg (0.827, 0.827, 0.519)
Mg (0.827, 0.519, 0.827)
Mg (0.519, 0.827, 0.827)
Mg (0.827, 0.827, 0.827)
Mg (0.173, 0.173, 0.481)
Mg (0.173, 0.481, 0.173)
Mg (0.481, 0.173, 0.173)
Mg (0.173, 0.173, 0.173)
Mg (0.620, 0.620, 0.139)
Mg (0.620, 0.139, 0.620)
Mg (0.139, 0.620, 0.620)
Mg (0.620, 0.620, 0.620)
Mg (0.380, 0.380, 0.861)
Mg (0.380, 0.861, 0.380)
Mg (0.861, 0.380, 0.380)
Mg (0.380, 0.380, 0.380)
Mg (0.000, 0.000, 0.500)
Mg (0.500, 0.000, 0.500)
Mg (0.000, 0.500, 0.500)
Mg (0.500, 0.500, 0.000)
Mg (0.000, 0.500, 0.000)
Mg (0.500, 0.000, 0.000)
Mg (0.500, 0.500, 0.500)
C (0.000, 0.000, 0.000)

---

# 2
Computed, not measured: a relaxed structure of LuMnRh2 at the r2SCAN level of DFT.

Summary:
The symmetry is Fm-3m, No. 225. For the calculated density, the calculation gives 11.20 Mg/m³. The size of the total moment is 1.14 μB per atom. Its total energy is -0.958 hartree per atom.

abc: 4.504 4.504 4.504
angles: 60.00 60.00 60.00
Atoms (fractional coordinates):
Lu (0.500, 0.500, 0.500)
Mn (0.000, 0.000, 0.000)
Rh (0.250, 0.250, 0.250)
Rh (0.750, 0.750, 0.750)

---

# 3
Computed, not measured: a relaxed structure of Cs2ErCl5 at the r2SCAN level of DFT.

Summary:
The symmetry is Pnma, No. 62. For the calculated density, the calculation gives 3.74 Mg/m³. The size of the total moment is 0.00 μB per atom. Its total energy is -0.618 hartree per atom.

abc: 7.444 9.527 15.290
angles: 90.00 90.00 90.00
Atoms (fractional coordinates):
Cs (0.250, 0.665, 0.916)
Cs (0.750, 0.335, 0.084)
Cs (0.750, 0.835, 0.416)
Cs (0.250, 0.165, 0.584)
Cs (0.250, 0.973, 0.211)
Cs (0.750, 0.027, 0.789)
Cs (0.750, 0.527, 0.711)
Cs (0.250, 0.473, 0.289)
Er (0.250, 0.678, 0.565)
Er (0.750, 0.322, 0.435)
Er (0.750, 0.822, 0.065)
Er (0.250, 0.178, 0.935)
Cl (0.250, 0.519, 0.701)
Cl (0.750, 0.481, 0.299)
Cl (0.750, 0.981, 0.201)
Cl (0.250, 0.019, 0.799)
Cl (0.503, 0.835, 0.619)
Cl (0.497, 0.165, 0.381)
Cl (0.497, 0.665, 0.119)
Cl (0.003, 0.165, 0.381)
Cl (0.503, 0.335, 0.881)
Cl (0.997, 0.835, 0.619)
Cl (0.997, 0.335, 0.881)
Cl (0.003, 0.665, 0.119)
Cl (0.250, 0.790, 0.409)
Cl (0.750, 0.210, 0.591)
Cl (0.750, 0.710, 0.909)
Cl (0.250, 0.290, 0.091)
Cl (0.000, 0.500, 0.500)
Cl (0.000, 0.000, 0.000)
Cl (0.500, 0.500, 0.500)
Cl (0.500, 0.000, 0.000)

---

# 4
Computed, not measured: a relaxed structure of PuSb at the r2SCAN level of DFT.

Summary:
The symmetry is Fm-3m, No. 225. For the calculated density, the calculation gives 9.72 Mg/m³. The size of the total moment is 2.50 μB per atom. Its total energy is -2.097 hartree per atom.

abc: 4.454 4.454 4.454
angles: 60.00 60.00 60.00
Atoms (fractional coordinates):
Pu (0.000, 0.000, 0.000)
Sb (0.500, 0.500, 0.500)

---

# 5
Computed, not measured: a relaxed structure of PrAl8Fe4 at the r2SCAN level of DFT.

Summary:
The symmetry is I4/mmm, No. 139. For the calculated density, the calculation gives 4.94 Mg/m³. The size of the total moment is 0.56 μB per atom. Its total energy is -0.411 hartree per atom.

abc: 5.007 6.724 6.724
angles: 97.98 68.13 111.87
Atoms (fractional coordinates):
Pr (0.000, 0.000, 0.000)
Al (0.500, 0.227, 0.227)
Al (0.274, 0.773, 0.227)
Al (0.000, 0.345, 0.345)
Al (0.655, 0.655, 0.345)
Al (0.345, 0.345, 0.655)
Al (0.000, 0.655, 0.655)
Al (0.726, 0.227, 0.773)
Al (0.500, 0.773, 0.773)
Fe (0.000, 0.500, 0.000)
Fe (0.500, 0.500, 0.000)
Fe (0.000, 0.000, 0.500)
Fe (0.500, 0.000, 0.500)

---

# 6
Computed, not measured: a relaxed structure of HfO2 at the r2SCAN level of DFT.

Summary:
- - -
Worked solution:
Computed, not measured: a relaxed structure of La6Mg23C at the r2SCAN level of DFT.
Computed, not measured: a relaxed structure of LuMnRh2 at the r2SCAN level of DFT.
Computed, not measured: a relaxed structure of Cs2ErCl5 at the r2SCAN level of DFT.
Computed, not measured: a relaxed structure of PuSb at the r2SCAN level of DFT.
Computed, not measured: a relaxed structure of PrAl8Fe4 at the r2SCAN level of DFT.
Computed, not measured: a relaxed structure of HfO2 at the r2SCAN level of DFT.